To receive a report by the Head of Customer Service on the revised Customer Service Strategy.
Contact: J Taylor 388119
Additional documents:
That the Council approves the revised Customer Service Strategy attached as Appendix 1 to the Officer’s report.
[Next to the piece, the page also holds records of molecules]
- - -
Density functional theory data (ωB97M-V/def2-TZVPD) for C14H14N2O in the gas phase.

The strongest force on any atom comes out at 0.5 eV/Å. As for the energy above the lowest of the compared OMol25 structures with the same formula, charge and spin: 0.000 eV. The structure (SMILES) is CC(=O)Nc1ccc(Cc2ccncc2)cc1. The calculation puts the highest occupied orbital energy at -8.46 eV. The energy is -726.66736 a.u.

Positions of all 31 atoms, in Å:
C (-3.96, -0.78, 3.90)
C (-2.60, -0.29, 3.44)
O (-1.95, 0.52, 4.06)
N (-2.22, -0.88, 2.27)
C (-1.04, -0.69, 1.54)
C (-0.89, -1.43, 0.36)
C (0.25, -1.29, -0.40)
C (1.26, -0.42, -0.02)
C (2.48, -0.25, -0.89)
C (2.09, 0.51, -2.12)
C (1.76, 1.86, -2.04)
C (1.37, 2.53, -3.19)
N (1.29, 1.94, -4.38)
C (1.60, 0.66, -4.46)
C (2.00, -0.10, -3.37)
C (1.10, 0.31, 1.15)
C (-0.03, 0.18, 1.93)
H (-4.72, -0.55, 3.16)
H (-4.22, -0.28, 4.83)
H (-3.94, -1.86, 4.07)
H (-2.86, -1.54, 1.86)
H (-1.67, -2.11, 0.05)
H (0.35, -1.87, -1.31)
H (3.25, 0.29, -0.35)
H (2.88, -1.23, -1.18)
H (1.81, 2.38, -1.10)
H (1.11, 3.58, -3.17)
H (1.51, 0.22, -5.44)
H (2.24, -1.14, -3.49)
H (1.88, 0.99, 1.47)
H (-0.14, 0.75, 2.83)

natural (NBO) atomic charge list, values in e, 8 entries: -0.713, 0.685, -0.599, -0.601, 0.125, -0.225, -0.200, -0.022

Density functional theory data (ωB97M-V/def2-TZVPD) for C14H14N2O3S in the gas phase in a non-equilibrium geometry.

The strongest force on any atom comes out at 1.4 eV/Å. As for the energy above the lowest of the compared OMol25 structures with the same formula, charge and spin: 3.465 eV. The structure (SMILES) is C[C@@H](CNC(=O)c1cccs1)c1ccc([N+](=O)[O-])cc1. The calculation puts the highest occupied orbital energy at -9.31 eV. The energy is -1275.23915 a.u.

Positions of all 34 atoms, in Å:
C (1.87, 2.97, 1.87)
C (0.40, 2.60, 1.79)
C (-0.24, 3.19, 0.49)
N (-0.40, 2.21, -0.55)
C (0.64, 1.80, -1.32)
O (1.69, 2.40, -1.39)
C (0.40, 0.57, -2.09)
C (1.26, 0.02, -3.00)
C (0.81, -1.22, -3.51)
C (-0.38, -1.60, -2.98)
S (-0.98, -0.46, -1.84)
C (0.15, 1.11, 1.81)
C (-1.07, 0.63, 2.28)
C (-1.39, -0.71, 2.19)
C (-0.47, -1.58, 1.61)
N (-0.82, -2.97, 1.46)
O (-1.86, -3.35, 1.94)
O (-0.04, -3.68, 0.86)
C (0.76, -1.13, 1.16)
C (1.06, 0.21, 1.27)
H (1.97, 4.04, 2.07)
H (2.36, 2.43, 2.68)
H (2.38, 2.76, 0.94)
H (-0.12, 3.04, 2.65)
H (0.40, 3.98, 0.11)
H (-1.23, 3.61, 0.71)
H (-1.21, 1.60, -0.49)
H (2.18, 0.49, -3.28)
H (1.34, -1.80, -4.24)
H (-0.95, -2.48, -3.17)
H (-1.79, 1.32, 2.71)
H (-2.34, -1.09, 2.54)
H (1.45, -1.83, 0.73)
H (2.02, 0.57, 0.90)

natural (NBO) atomic charge list, values in e, 8 entries: -0.620, -0.253, -0.216, -0.611, 0.650, -0.625, -0.321, -0.181

Density functional theory data (ωB97M-V/def2-TZVPD) for C14H14N2O4S in the gas phase in a non-equilibrium geometry.
- - -
By way of a report from the Head of Customer Service (a copy of which is appended in the Minute Book), the Cabinet recommended the revised Customer Service Strategy to Council for approval.
Members of the Overview and Scrutiny Panel and the Cabinet had previously reviewed and commented on a summary ‘on a page’ document. In light of Member feedback, the summary document had been developed into a wider and more comprehensive document, taking the foundation of the previous Strategy and updating the content to reflect other Council Strategies and Policies. The document also took into account customer feedback and had passed through a number of Officer groups.
The Customer Service Strategy included a section of how the Council would measure the outcomes the Strategy was expected to deliver. It was noted that a number of measures included targets with ‘TBA’ and it was explained that as these were new measures targets were still being established.
At 7.37pm Councillor D Dew returned to the meeting.
The Strategy was a document that was intended to be owned by all Officers and linked through the Corporate Plan, Service Plans and to individual key performance indicators. The Cabinet was informed that there were various events scheduled to promote the Strategy to Officers starting with the imminent ‘Meet Senior Management Team’ meetings.
During discussions it was requested that the Cabinet be presented with a future report that contained an overall summary of how Service Plans were being monitored and contributing to the Customer Service Strategy.
The Cabinet was informed that to be able to effectively measure and compare customer satisfaction a series of consistent questions were being introduced and that it was intended to refresh the Customer Feedback Policy.
The Cabinet agreed with the comment made by the Overview and Scrutiny Panel that a facility should be introduced on the Council’s website to enable a resident to search for their local Councillor by postcode. It was further noted that the customer experience within this area of the Council’s website was noticeably different to that on the main website.
The Cabinet was informed that once ‘TBA’ targets had been replaced with numerical targets, the Strategy would be refreshed on the Council’s website.
The Cabinet expressed appreciation to the Head of Customer Service and Executive Councillor for Customer Services as having produced a summary of the new Strategy the revised Customer Service Strategy was now complete and the Cabinet
that the Council approve the revised Customer Service Strategy attached as Appendix 1 to the Officer’s report.
To consider a report by the Head of Customer Services to which is attached a revised Customer Services Strategy.
Contact: J Taylor 388119
Additional documents:
(Councillor D M Tysoe, Executive Councillor for Customer Services, was in attendance for this item).
The Panel gave consideration to a report by the Head of Customer Services to which was attached a revised Customer Service Strategy (copies of which are appended in the Minute Book). The previous Strategy had been updated to reflect other Council strategies and policies. It also took into account customer feedback and the views of Officers. The result was a more comprehensive document with wider application. In addition, the Strategy’s links to the Corporate Plan had been strengthened and it now included examples of good practice.
Councillor T D Alban commented that a facility should be introduced to the Council’s website that enabled residents to identify their local Councillor. Officers agreed to follow up this suggestion. In reply to a question by Councillor J M Palmer, confirmation was received that Progress against the Strategy would be monitored through the corporate performance reporting process. An annual review also would take place.
that the Cabinet be recommended to approve the revised Customer Service Strategy.